So we set up the tree about.....2 weeks ago! I just love Christmas and I love my tree. It was the biggest item we shipped over when we moved. I just couldn't leave it behind!
As you see we just made it, I think there is about 1/2 inch clearance if that!
Someone couldn't resist once the camera came out!
Most people are shocked that we have the tree up so early, but I love decorating the tree, having it turned on a night. My mom always has the prettiest trees ever year. She has an amazing eye for detail, where to place what decoration etc. I think last year she decorated all us girls' trees! She came to Utah because William was born, so she did Megan's and mine. Then back home to do Becky's before she even did her own! Her trees are lovely, Dad will huff and puff about all the trinkets and "things" Mother puts out for Christmas, but I do believe he is the first one to plug in the tree in the morning! It always reminds me of the time when Mom and Dad got a new electric blanket for their bed. Having a King Size bed they had the "duel" controls for their blanket. Which of course was the whole point. Patience cease to be the "key word" when it was time for set up, no time for directions, just slap that blanket on and plug it in. (Dad was doing the setup) Anyway come to find out many days later, they had the wires crossed. Dad controlled Mom's side of the bed while Mom controlled Dad's, and you are asking yourself how long did it take before they undid the wires and sort it out.....they never did! They would just reach over each other to either turn up or down the controls! I know there is a reason for this story.....Oh yeah, Dad would moan and groan about the blanket, telling anyone who would listen that is was just not necessary. However when we would climb up the stairs at night to go to bed, it was like a lighthouse on a hill this little red light coming from Mom and Dad's bedroom. Who would be all tucked up in bed with the blanket on you ask? Dad (I am pretty sure Mom was still downstairs folding laundry).
~~~
# 1
Entry from Materials Project: crystalline ThSi2Ir2 at its relaxed geometry (r2SCAN).

Results
ΔE_f: -1.181 eV/atom
space-group type: P4/nmm, No. 129
M_tot: 0.01 μB/f.u.
DFT total energy: -403.3 eV/cell

Cell and atoms, written as POSCAR:
```
ThSi2Ir2
1.0
-2.5267 1.7634 2.8354
-2.9991 0.3646 -2.8992
-3.4749 -8.9493 2.4691
Th Ir Si
2 4 4
direct
0.0000 0.5000 0.2585 Th
0.5000 0.0000 0.7415 Th
0.0000 0.0000 0.0000 Ir
0.5000 0.5000 0.0000 Ir
0.5000 0.0000 0.3734 Ir
0.0000 0.5000 0.6266 Ir
0.0000 0.0000 0.5000 Si
0.0000 0.5000 0.8703 Si
0.5000 0.0000 0.1297 Si
0.5000 0.5000 0.5000 Si
```

---

# 2
Entry from Materials Project: crystalline Tm5Si10Ir4 at its relaxed geometry (r2SCAN).

Results
ΔE_f: -0.957 eV/atom
space-group type: P4/mbm, No. 127
M_tot: 0.00 μB/f.u.
DFT total energy: -981.9 eV/cell

Cell and atoms, written as POSCAR:
```
Tm5Si10Ir4
1.0
12.5267 0.0000 0.0000
0.0000 12.5267 0.0000
0.0000 0.0000 4.2097
Ir Tm Si
8 10 20
direct
0.7551 0.0198 0.0000 Ir
0.5198 0.2551 0.0000 Ir
0.4802 0.7449 0.0000 Ir
0.2449 0.9802 0.0000 Ir
0.7449 0.5198 0.0000 Ir
0.9802 0.7551 0.0000 Ir
0.0198 0.2449 0.0000 Ir
0.2551 0.4802 0.0000 Ir
0.3849 0.1151 0.5000 Tm
0.8255 0.6745 0.5000 Tm
0.8849 0.3849 0.5000 Tm
0.0000 0.0000 0.0000 Tm
0.6151 0.8849 0.5000 Tm
0.6745 0.1745 0.5000 Tm
0.1745 0.3255 0.5000 Tm
0.1151 0.6151 0.5000 Tm
0.5000 0.5000 0.0000 Tm
0.3255 0.8255 0.5000 Tm
0.4970 0.6559 0.5000 Si
0.5030 0.3441 0.5000 Si
0.6559 0.5030 0.5000 Si
0.3441 0.4970 0.5000 Si
0.1559 0.9970 0.5000 Si
0.9337 0.5663 0.0000 Si
0.5663 0.0663 0.0000 Si
0.1647 0.7986 0.0000 Si
0.7986 0.8353 0.0000 Si
0.6647 0.7014 0.0000 Si
0.7014 0.3353 0.0000 Si
0.9970 0.8441 0.5000 Si
0.8353 0.2014 0.0000 Si
0.8441 0.0030 0.5000 Si
0.0030 0.1559 0.5000 Si
0.2986 0.6647 0.0000 Si
0.3353 0.2986 0.0000 Si
0.2014 0.1647 0.0000 Si
0.4337 0.9337 0.0000 Si
0.0663 0.4337 0.0000 Si
```

* * * * *

# 1
{
  "formula": "Ba14Y7Cu20O42",
  "functional": "PBE-GGA",
  "state": "relaxed",
  "cell": [[8.671, 0.000, 0.000], [-1.762, 12.117, 0.000], [-3.465, -1.730, 12.124]],
  "species": ["Ba", "Ba", "Ba", "Ba", "Ba", "Ba", "Ba", "Ba", "Ba", "Ba", "Ba", "Ba", "Ba", "Ba", "Y", "Y", "Y", "Y", "Y", "Y", "Y", "Cu", "Cu", "Cu", "Cu", "Cu", "Cu", "Cu", "Cu", "Cu", "Cu", "Cu", "Cu", "Cu", "Cu", "Cu", "Cu", "Cu", "Cu", "Cu", "Cu", "O", "O", "O", "O", "O", "O", "O", "O", "O", "O", "O", "O", "O", "O", "O", "O", "O", "O", "O", "O", "O", "O", "O", "O", "O", "O", "O", "O", "O", "O", "O", "O", "O", "O", "O", "O", "O", "O", "O", "O", "O", "O"],
~~~
So Dad may moan and groan, huff and puff a bit and His favorite saying is that the border control has Tai Pan on speed dial and as soon as Mom crosses over the call is place! We all know though that he loves the house looking like it came out of a magazine for Christmas. When you walk into the house with a frost bitten nose and the house is smelling like Christmas cookies, music playing and that beautiful tree sparkling is there a better place to be? I dare someone to try to find it!